“Luffy! The asteroid belt is coming up quick! You guys need to get back to the ship, now!” You shout from your chair on the bridge, gritting your teeth as Jinbei evades the outlying hunks of rock that littered this area of empty space, all while maintaining a close-enough proximity to the Galactic Government’s cruiser.
Easier said than done, but the Fishman was the best damn pilot you’d ever seen.
It was only with Franky at his side, keeping the ship’s power levels from fluctuating too wildly, that you were able to keep within the required distance for the particle jumper to be functional. Keeping it locked on target was difficult when both targets were actively moving.
Your captain’s smiling face grinned from your communication’s screen.
“Shishishi! Don’t worry! If there’s anyone who can get us back on board, it’s you!”
“Thanks for the faith but…just hurry up!”
His confidence in you was inspiring, but right now all you wanted to do was get the rest of the crew who’d particle-beamed onboard the enemy ship to get their asses back to the 1000 Solaris.
Luffy ended his comms, his image disappearing from sight, however, Zoro’s popped up just a moment later. From the way the background bounced and blurred, you could tell he was running.
“Y/N! Where did those two idiots go?” He questioned in a snarl, taking a moment to slash at a Galactic Trooper with his vibro-blade. “I thought we were heading for the engines to disable the hyperdrive?”
Your eyes glances at the schematics for the enemy ship’s real-time interior, three glowing dots highlighting where your companions were. With a sigh, you tapped the one lone dot that had to be the bladesman.
“Zoro! You took another wrong turn!”
Franky gave a heavy sigh, but didn’t look away from his console. “We should rethink letting Zoro go with boarding parties from now on.”
“It was a straight hallway! They were right in front of you! How did you get lost, again?” You directed at the green-haired pirate.
“These ships are built to confuse people!” He replied, irritated that you thought him so stupid.
You shook your head, typing in a few commands for his personal communicator. Even from this distance, it should display. “Just follow the arrows on your wrist. You can at least find your way with that simple guidance, can’t you?”
“Shut up! I’ll find the hyperdrive before Luffy and that shitty cook do.”
And with that proud promise, Zoro ended the transmission. You leaned back in your seat with an exhausted sigh. It wasn’t over yet, but you’d take the moment of respite when you could.
“I knew this was a bad idea…”
“They would have likely detected us anyway.” Jinbei pointed out with a quiet chuckle from his seat at the ship’s helm. “They’ve been itching for a fight for days. Let them get it out of their systems.”
“They’ve always pulled through, Y/N, don’t start doubting them now.” Franky chimed in with a sudden grin, flashing you a wink from beside you.
One after another in quick succession, three additional dots activated on the ship’s schematic, on the other side of the vessel. They must have reactivated the tracking function on their communicators once they no longer needed the stealth.
Your communicator pinged as Usopp’s image appeared in the corner of your screen.
“Y/N, we grabbed the databanks onboard. Robin, Nami, and I are good to beam onboard.”
“Got it, stand by.”
Your finger swipes across the screen, directing back to the particle beamer’s console. You lined up the beam’s targeting reticle at the section of the ship where your three crew mates were located. Extrapolating the distance, width, height, and number of targets would have taken another ages. Especially with an actively moving target, it was nigh impossible.
But you were an expert in all sense of the word. Luffy was right. If there was one person who could safely get them aboard it was you.
“Watch for the spike, Franky.”
“Let’s see it.” He grinned, fingers flexing on the handles for the engine controls.
Satisfied with the calculations, you engaged the beam, hearing the familiar whir as it began revving up it’s power levels. The beam itself wasn’t visible to the naked eye, but the tell-tale sound of vibrating space made you confident that it was indeed working.
The 3 dots that indicated Usopp, Robin, and Nami’s forms on the enemy ship disappeared, and you heard the jump platform above you in the ship activate. 3 onboard. 3 more to go.
You look up as one section of the ship suddenly implodes upon itself, followed by an outward force that shoots half the debris out into the empty void. You immediately ping up Luffy’s communicator, eyes glancing at the three life signs of your companions just in case. Thankfully Zoro seemed to have made his way back with Sanji and Luffy, so you didn’t have to worry about that.
Luffy’s face finally pulled up, the background behind him a flaming mess.
“Y/N! The engines are destroyed. Along with a lot of other important stuff.” He reported confidently, his smile unfitting for the situation, honestly. “You can beam us back on now.”
“Ok, stand by for jump.” You say, fingers working their magic over the console once more, locking targets with their life signs before the entire ship is either engulfed in flames or destroyed from the intense vacuum of space.
Once all life signs of your crew is safely aboard, Luffy reappears in the cockpit to sit at his Captain’s chair, looking remarkable proud of himself for almost having died aboard a half-destroyed ship.
The others trickled in, waiting on Luffy to give further orders.
Data records, kept here for reference
~~~
Material: ErBiPt
Method: DFT, GGA-PBE
State: optimized geometry

Cell: 4.7470 4.7470 4.7470 Å, 60.00 60.00 60.00°
With the nearest neighbours (Å) after each atom.
Fractional positions:
1 Er 0.5000 0.5000 0.5000  4 Pt 2.91
2 Pt 0.7500 0.7500 0.7500  4 Bi 2.91, 4 Er 2.91
3 Bi 0.0000 0.0000 0.0000  4 Pt 2.91

Formation enthalpy at 0 K in eV/atom: -1.02

---

Material: SmTa3
Method: DFT, GGA-PBE
State: optimized geometry

Cell: 4.8878 4.8878 4.8878 Å, 60.00 60.00 60.00°
With the nearest neighbours (Å) after each atom.
Fractional positions:
1 Ta 0.7500 0.7500 0.7500  4 Ta 2.99, 4 Sm 2.99
2 Ta 0.5000 0.5000 0.5000  8 Ta 2.99
3 Ta 0.2500 0.2500 0.2500  4 Ta 2.99, 4 Sm 2.99
4 Sm 0.0000 0.0000 0.0000  8 Ta 2.99

Formation enthalpy at 0 K in eV/atom: 0.48

---

Material: Ba3MgSb2O9
Method: DFT, GGA-PBE
State: optimized geometry

Cell: 5.9339 5.9339 14.6584 Å, 90.00 90.00 120.00°
With the nearest neighbours (Å) after each atom.
Fractional positions:
1 Sb 0.3333 0.6667 0.1515  6 O 1.96-2.10
2 O 0.0367 0.5183 0.2500  2 Sb 2.10
3 O 0.8309 0.1691 0.5837  1 Sb 1.96, 1 Mg 2.13
4 O 0.1691 0.8309 0.0837  1 Sb 1.96, 1 Mg 2.13
5 O 0.4817 0.9633 0.2500  2 Sb 2.10
6 Mg 0.0000 0.0000 0.0000  6 O 2.13
7 O 0.6618 0.8309 0.0837  1 Sb 1.96, 1 Mg 2.13
8 O 0.8309 0.6618 0.9163  1 Sb 1.96, 1 Mg 2.13
9 Sb 0.6667 0.3333 0.6515  6 O 1.96-2.10
10 Ba 0.3333 0.6667 0.9121  12 O 2.97-3.04
11 O 0.3382 0.1691 0.5837  1 Sb 1.96, 1 Mg 2.13
12 O 0.6618 0.8309 0.4163  1 Sb 1.96, 1 Mg 2.13
13 O 0.9633 0.4817 0.7500  2 Sb 2.10
14 O 0.4817 0.5183 0.2500  2 Sb 2.10
15 O 0.5183 0.0367 0.7500  2 Sb 2.10
16 Ba 0.6667 0.3333 0.4121  12 O 2.97-3.04
17 O 0.8309 0.1691 0.9163  1 Sb 1.96, 1 Mg 2.13
18 Ba 0.3333 0.6667 0.5879  12 O 2.97-3.04
19 O 0.8309 0.6618 0.5837  1 Sb 1.96, 1 Mg 2.13
20 O 0.3382 0.1691 0.9163  1 Sb 1.96, 1 Mg 2.13
21 Ba 0.6667 0.3333 0.0879  12 O 2.97-3.04
22 Mg 0.0000 0.0000 0.5000  6 O 2.13
23 O 0.5183 0.4817 0.7500  2 Sb 2.10
24 Sb 0.3333 0.6667 0.3485  6 O 1.96-2.10
25 O 0.1691 0.3382 0.0837  1 Sb 1.96, 1 Mg 2.13
26 Ba 0.0000 0.0000 0.7500  12 O 2.97-2.99
27 O 0.1691 0.3382 0.4163  1 Sb 1.96, 1 Mg 2.13
28 Ba 0.0000 0.0000 0.2500  12 O 2.97-2.99
29 Sb 0.6667 0.3333 0.8485  6 O 1.96-2.10
30 O 0.1691 0.8309 0.4163  1 Sb 1.96, 1 Mg 2.13

Formation enthalpy at 0 K in eV/atom: -2.70

---

Material: Sc2ZnSe4
Method: DFT, GGA-PBE
State: optimized geometry

Cell: 7.8276 7.8276 7.8276 Å, 60.00 60.00 60.00°
With the nearest neighbours (Å) after each atom.
Fractional positions:
1 Zn 0.2500 0.2500 0.2500  4 Se 2.49
2 Sc 0.6250 0.1250 0.6250  6 Se 2.72
3 Zn 0.0000 0.0000 0.0000  4 Se 2.49
4 Se 0.3797 0.8608 0.3797  1 Zn 2.49, 3 Sc 2.72
5 Se 0.3797 0.3797 0.8608  1 Zn 2.49, 3 Sc 2.72
6 Se 0.8703 0.8703 0.3892  1 Zn 2.49, 3 Sc 2.72
7 Se 0.3892 0.8703 0.8703  1 Zn 2.49, 3 Sc 2.72
8 Sc 0.6250 0.6250 0.6250  6 Se 2.72
9 Sc 0.1250 0.6250 0.6250  6 Se 2.72
10 Se 0.8608 0.3797 0.3797  1 Zn 2.49, 3 Sc 2.72
11 Sc 0.6250 0.6250 0.1250  6 Se 2.72
12 Se 0.8703 0.3892 0.8703  1 Zn 2.49, 3 Sc 2.72
~~~
Nami!“ He called, gaining the orange-haired navigator’s attention. "Where’s the nearest spaceport?”
“That Galactic Government ship made up fly a few clicks off course for our original destination.” She surmised, pulling up her star map on her own wrist communicator. “Now, we’re closer to Gordya Space Station than Xiona.”
“Set a course then, Jinbei!” Luffy commanded, arms crossing as he settled into his chair. “Fighting off those troopers made me hungry. Let’s celebrate with some meat!”
“Aye, Captain!”
“All of you, get some rest! Nice job getting us out of there.” He complimented, watching as most of the crew trickled away to go to their quarters or hit the showers. Sanji and Zoro in particular were looking notable singed around the edges.
After the stress of the battle, and of making sure all your calculations were spot on, you rose from your chair, intent on getting a break. “I’m gonna get a nap in. That whole thing was…exhausting.”
“Shishishi!” Luffy gave a laugh. “Ok then, but wasn’t I right? If there was anyone who could have gotten us off that ship, it was you, Y/N.”
“Yeah, well…” You rubbed the back of your neck, slightly embarrassed at the compliment. “I’m arrogant enough to say I’m damn good at it, I guess.”
“I wouldn’t have a chance of being King of the Space Pirates if it wasn’t for all you guys.” He went on, gesturing to also include Jinbei, Franky, and the others who’d dispersed. “Thanks for being so great.”
“You’re gonna turn Y/N red with all of these compliments. Don’t give them a more inflated ego than they already have.” Franky said with a chuckle.
Irked, you turn to him and dismiss his words. “Next time, I’ll let you deal with the sudden spike in power without tell you. We’ll see how you like it then.”
You leave the room and begin to head to your quarters, Luffy’s amused and lighthearted laughter in your wake. You can’t help but smile to yourself, thinking there was no other man ambitious or crazy enough you’d ever take your chances with in this messed up galaxy.